All branches of the military can receive credits for training. Military personnel (active duty, reserve, National Guard): Army, Navy, Marine Corps, U.S. Coast Guard, Army Reserve, Air Force Reserve, Marine Corps Reserve, Navy Reserve, Coast Guard Reserve, Army, and Air National Guard.
Honorably discharged veterans or active duty service members who have completed 6 to 18 months of active service in either the US Armed Forces or those of another country may be granted five (5) credits of elective requirements toward a degrees; those who have completed more than 18 months of service be awarded 10 credits of electives. Additionally, ACE equivalency credits may be granted with the submission of an official military (JST, AARTS, SMART, CGI) transcript.
ACE Identifier | JST Course Title | Credits Granted | SFC Equivalency |
AR-0702-0030 | Structured Self Development (SSD) I | 3 | GEN ELE |
AR-0702-0030 | Structured Self Development (SSD) I: | 3 Credits Total |
AR-0702-0031 | Structured Self Development (SSD) II: Leadership | 1 | MKT ELE |
# Calculated crystals that have nothing to do with the entry
/*
No. 1
## CrAgS2 (PBE-GGA)

Data for CrAgS2 after structural relaxation.

a b c (Å): 3.543 8.717 9.974
angles (deg): 84.40 100.18 78.23
Atoms (fractional coordinates):
1 Cr 0.497 0.503 0.496
2 Cr 0.253 0.248 0.754
3 Cr 0.997 0.003 0.996
4 Cr 0.753 0.748 0.254
5 Ag 0.966 0.263 0.193
6 Ag 0.709 0.024 0.441
7 Ag 0.466 0.764 0.693
8 Ag 0.209 0.524 0.941
9 S 0.934 0.472 0.339
10 S 0.683 0.229 0.593
11 S 0.434 0.972 0.839
12 S 0.182 0.729 0.092
13 S 0.567 0.028 0.162
14 S 0.315 0.786 0.416
15 S 0.067 0.528 0.662
16 S 0.815 0.286 0.916

Values from the calculation:
- ΔE_f (eV per formula unit) = -2.92
- energy (eV/f.u.) = -22.675

No. 2
## Cr2AgS4 (PBE-GGA)

Data for Cr2AgS4 after structural relaxation.

a b c (Å): 3.486 11.073 12.583
angles (deg): 90.00 90.00 90.00
Atoms (fractional coordinates):
1 Cr 0.250 0.058 0.117
2 Cr 0.750 0.942 0.883
3 Cr 0.750 0.442 0.617
4 Cr 0.250 0.558 0.383
5 Cr 0.250 0.087 0.597
6 Cr 0.750 0.913 0.403
7 Cr 0.750 0.413 0.097
8 Cr 0.250 0.587 0.903
9 Ag 0.250 0.246 0.330
10 Ag 0.750 0.754 0.670
11 Ag 0.750 0.254 0.830
12 Ag 0.250 0.746 0.170
13 S 0.750 0.036 0.713
14 S 0.250 0.964 0.287
15 S 0.250 0.464 0.213
16 S 0.750 0.536 0.787
17 S 0.250 0.082 0.931
18 S 0.750 0.918 0.069
19 S 0.750 0.418 0.431
20 S 0.250 0.582 0.569
21 S 0.750 0.115 0.469
22 S 0.250 0.885 0.531
23 S 0.250 0.385 0.969
24 S 0.750 0.615 0.031
25 S 0.750 0.200 0.153
26 S 0.250 0.800 0.847
27 S 0.250 0.300 0.653
28 S 0.750 0.700 0.347

Values from the calculation:
- ΔE_f (eV per formula unit) = -5.10
- symmetry = Pnma
- energy (eV/f.u.) = -41.776
- crystal system = orthorhombic

No. 3
## Cr2AgS4 (PBE-GGA)

Data for Cr2AgS4 after structural relaxation.

a b c (Å): 7.201 7.201 7.201
angles (deg): 60.00 60.00 60.00
Atoms (fractional coordinates):
1 Cr 0.125 0.125 0.125
2 Cr 0.625 0.125 0.125
3 Cr 0.125 0.625 0.125
4 Cr 0.125 0.125 0.625
5 Ag 0.500 0.500 0.500
6 Ag 0.750 0.750 0.750
7 S 0.360 0.360 0.360
8 S 0.330 0.890 0.890
9 S 0.890 0.890 0.330
10 S 0.890 0.330 0.890
11 S 0.360 0.360 0.920
12 S 0.360 0.920 0.360
13 S 0.890 0.890 0.890
14 S 0.920 0.360 0.360

Values from the calculation:
- ΔE_f (eV per formula unit) = -5.85
- symmetry = Fd-3m
- energy (eV/f.u.) = -42.521
- crystal system = cubic

No. 4
## CrAgS2 (PBE-GGA)

Data for CrAgS2 after structural relaxation.

a b c (Å): 3.537 3.537 13.797
angles (deg): 82.47 97.53 119.90
Atoms (fractional coordinates):
1 Cr 0.499 0.501 0.499
2 Cr 0.999 0.001 0.999
3 Ag 0.076 0.924 0.230
4 Ag 0.576 0.424 0.730
5 S 0.135 0.865 0.409
6 S 0.635 0.365 0.909
7 S 0.367 0.633 0.098
8 S 0.867 0.133 0.598

Values from the calculation:
- ΔE_f (eV per formula unit) = -2.91
- energy (eV/f.u.) = -22.662
- maximum piezoelectric response (C/m²) = 0.91

No. 5
## Cr2AgS4 (PBE-GGA)

Data for Cr2AgS4 after structural relaxation.

a b c (Å): 7.121 7.121 5.907
angles (deg): 66.80 66.80 28.27
Atoms (fractional coordinates):
1 Cr 0.759 0.759 0.223
2 Cr 0.241 0.241 0.777
3 Ag 0.500 0.500 0.500
4 S 0.362 0.362 0.974
5 S 0.638 0.638 0.026
*/
# So much for the calculated crystals
AR-0702-0032 | Structured Self Development (SSD) IV | 3 | GEN ELE |
AR-0703-0037 | Practical Nurse: Anatomy and Physiology | 5 | BIO ELE |
AR-0703-0039 | Practical Nurse: Advances Anatomy and Physiology | 3 | BIO ELE |
AR-1406-0090 | Basic Noncommissioned Officer (NCO): Communications Principles of Supervision | 3 Credits Total 1 2 |
AR-1406-0103 | Army Recruiter: | 9 Credits Total |
AR-1601-0124 | Combat Engineer: | 4 Credits Total | Content |
AR-2201-0399 | Basic Combat Training | 6 | 4 GEN ELE; 2 FIT ELE |
AR-2201-0399 | Basic Combat Training (includes the following): First Aid Marksmanship Military Science Physical Conditioning | 6 Credits Total |
AR-2201-0399 | Basic Combat Training (8 NOV 2011): First Aid Marksmanship Self Defense Physical Fitness | 5 Credits Total |
AR-2201-0399 | Basic Combat Training: | 5 Credits Total |
AR-2201-0455 | Airborne | 3 | FIT ELE |
AR-2201-0603 | Warrior Leader (AC): | 3 Credits Total |
ACE Identifier | JST Course Title | Credits Granted | SFC Equivalency |
MC-0602-0002 | Basic Grammar and Composition by Correspondence English | 1 Credit Total |
MC-0602-0002 | Seaman: | 7 Credits Total |
MC-1107-0001 | Mathematics for Marines, Correspondence | 3 | MAT-1101 |
MC-1401-0009 | Personal Financial Management by Correspondence | 3 | GEN ELE |
MC-1401-0009 | Personal Finance Management by Correspondence | 3 | FIN ELE |
MC-1406-0023 | Fundamentals of Marine Corps Leadership by Correspondence | 1 | BUS ELE |
MC-1406-0023 | Fundamentals of Marine Corps Leadership by Correspondence: Supervisory Management | 1 | MKT ELE |
MC-1406-0032 | Counseling for Marines, Correspondence | 2 | LA ELE |
MC-1406-0034 | Legal Services Specialist | 6 | GEN ELE |
MC-2204-0074 | Resident Staff Noncommissioned Officer (NCO) Career Regular: | 3 | MKT-2201 |
MC-2204-0088 | Recruit Training Master | 2 | FIT ELE |
MC-2204-0088 | Recruit Training (Basic Training) | 8 | FIT ELE |
MC-2204-0088 | Recruiting Training Master: | 7 Credits Total |
MC-2204-0105 | Marine Combat Training | 3 | FIT ELE |
MC-2204-0105 | Marine Combat Training: Practicum in Basic Military Skills/Military Science | 3 Credits Total 3 | GEN ELE |
MC-2204-0127 | Sergeants Distance Education Program by Correspondence | 7 | GEN ELE |
MCE-0659-001 | Data Chief: Business Communications (Occupation Category) | 3 | WRI-2300 |
ACE Identifier | JST Course Title | Credits Granted | SFC Equivalency |
NV-1405-0012 | Ship’s Serviceman, Class A1: Introduction to Business | 2 Credits Total | 2 Credits Total |
NV-2202-0165 | Recruit Training: | 3 Credits Total |
Department of Defense
ACE Identifier | JST Course Title | Credits Granted | SFC Equivalency |
DD-0504-0020 | Basic Public Affairs Specialist – Writer: Defense Information School | 9 Credits Total | 3 COM-2000; 3 COM ELE; 3 LA ELE |